Crystal. Think it is like Ruby? You are Wrong.
[Records of crystals, as found in the file]
........
Starting from a cell relaxed with GGA-PBE, the powder diffractogram of Sm2Ho2CI2Cl3 was calculated for Cu Ka.

Crystal structure
```
10
Lattice="8.960 -1.939 0.000 8.960 1.939 0.000 -1.434 0.000 7.996" Properties=species:S:1:pos:R:3 pbc="T T T"
Sm -0.316 0.000 2.329
Sm 16.802 0.000 5.667
Ho 5.914 0.000 3.491
Ho 10.572 0.000 4.504
C 8.243 0.000 3.998
I 1.807 0.000 6.807
I 14.679 0.000 1.188
Cl 2.566 0.000 2.821
Cl 8.960 0.000 0.000
Cl 13.920 0.000 5.175
```

Principal peaks in the range 10 to 90 degrees two-theta, by intensity:
2θ = 31.93°, d = 2.803 Å, rel. 100; 2θ = 11.07°, d = 7.996 Å, rel. 40; 2θ = 30.41°, d = 2.940 Å, rel. 39; 2θ = 30.79°, d = 2.904 Å, rel. 38; 2θ = 13.57°, d = 6.524 Å, rel. 36; 2θ = 34.36°, d = 2.610 Å, rel. 33; 2θ = 45.49°, d = 1.994 Å, rel. 25; 2θ = 21.22°, d = 4.186 Å, rel. 23; 2θ = 43.84°, d = 2.065 Å, rel. 21; 2θ = 36.91°, d = 2.435 Å, rel. 18

=====

Starting from a crystal structure in the Materials Project, relaxed with PBE, the powder diffractogram of HfCoSi was computed for Cu Kα (λ = 1.5418 Å).
Lines closer than 0.1° are merged.

Structural model:
Lattice parameters (Å, degrees): 7.931 4.948 4.948 61.28 90.00 90.00
Positions (direct):
Hf (0.181, 0.000, 0.000)
Hf (0.294, 0.670, 0.670)
Hf (0.706, 0.670, 0.670)
Hf (0.819, 0.000, 0.000)
Co (0.000, 0.487, 0.990)
Co (0.000, 0.990, 0.487)
Co (0.271, 0.344, 0.344)
Co (0.729, 0.344, 0.344)
Si (0.000, 0.482, 0.482)
Si (0.500, 0.160, 0.676)
Si (0.500, 0.165, 0.165)
Si (0.500, 0.676, 0.160)

Most intense lines, 2θ from 5° to 70°, low angle first:
Position (°2θ), d/Å, I (rel.)
20.47, 4.339, 27
22.42, 3.965, 45
23.37, 3.807, 27
35.61, 2.521, 43
36.32, 2.473, 98
39.93, 2.258, 84
40.15, 2.246, 51
42.48, 2.128, 72
43.11, 2.099, 100
43.23, 2.093, 37



Starting from a crystal structure in the Materials Project, relaxed with PBE, the powder diffractogram of MgTe4Mo2W2Se2S2 was computed for Cu Kα (λ = 1.5418 Å).
Lines closer than 0.1° are merged.

Structural model:
Lattice parameters (Å, degrees): 3.395 3.395 38.684 90.00 90.00 120.00
Positions (direct):
Mg (0.000, 0.000, 0.000)
Te (0.628, 0.309, 0.172)
Te (0.628, 0.309, 0.269)
Te (0.962, 0.975, 0.735)
Te (0.962, 0.975, 0.833)
Mo (0.628, 0.309, 0.408)
Mo (0.961, 0.975, 0.220)
W (0.628, 0.309, 0.784)
W (0.961, 0.975, 0.596)
Se (0.628, 0.309, 0.553)
Se (0.628, 0.309, 0.639)
S (0.962, 0.975, 0.369)
S (0.962, 0.975, 0.447)

Most intense lines, 2θ from 5° to 70°, low angle first:
Position (°2θ), d/Å, I (rel.)
6.86, 12.895, 38
11.44, 7.737, 100
13.73, 6.447, 16
30.42, 2.939, 44
35.74, 2.512, 85
38.45, 2.341, 19
43.26, 2.092, 47
45.02, 2.014, 15
54.02, 1.698, 29
66.47, 1.407, 14



Starting from a crystal structure in the Materials Project, relaxed with PBE, the powder diffractogram of Si5O8 was computed for Cu Kα (λ = 1.5418 Å).
Lines closer than 0.1° are merged.

Structural model:
Lattice parameters (Å, degrees): 6.761 6.776 12.111 77.78 77.21 69.75
Positions (direct):
Si (0.000, 0.000, 0.000)
Si (0.008, 0.609, 0.659)
........
[End of the records of crystals]
Crystal vs Ruby - GO!
I've been using Ruby professionally since one fated day in the California summer heat of 2005. Although the details have faded in my mind, I'm pretty sure I heard about Rails before Ruby - via the venerable Slashdot. I know it was sometime before Rails 0.13 was released on July 6, 2005 because I remember not having migrations for my first iteration of the app: I was tasked at the time with building an online scrapbooking app and I was looking for something that would be a good fit for a dynamic app like that. After seeing examples of the Ruby language, I fell in love with the alluring, almost gossamer, syntax.
You had me at 5.times
5.times do |i|
puts i
"Everything an object?" It just made sense to me. It clicked.
So when I came across a language touting a Ruby-like syntax but was compiled, and *GASP* fast, I held my breath. Things are rarely as good as the promote themselves to be. So with a healthy dose of skepticism I dove into writing some Crystal.
Crystal is "Fast as C, slick as Ruby". Crystal programming is a lot like Ruby in many ways but I want to point out some of idiosyncrasies of Crystal versus Ruby.
The Obvious: Speed
First up is the thing catches the ear of every Rubyist that gets wind of Crystal. "What? Ruby syntax AND it's fast you say?" Fast it is. Theres been lots of talk about Crystal's speed so I won't get too crazy here. If you are interested, Mike Perham has some insight on his blog. Also, Taichiro Suzuki (@tbrand) last week (2018-04-10) released the latest benchmarks for web servers and frameworks on his github repo which_is_the_fastest.
According to @tbrand, and as of today April 18th, 2018, a Crystal project router_cr
tops the list and Crystal projects make up 1/2 of the top 12.
- router_cr (crystal)
- iron (rust)
- raze (crystal)
- nickel (rust)
- japronto (python)
- actix (rust)
- spider-gazelle (crystal)
- fasthttprouter (go)
- mofuw (nim)
- lucky (crystal)
- amber (crystal)
- kemal (crystal)
Crystal is crazy fast. It's up there with the top languages.
In my own admittedly unscientific tests, I had similar findings (Gist). I had text output of PDF highlights that needed munging before importing into a data analysis tool. I wrote the first version in Ruby and realized it would be very easy to port it to Crystal and I was curious about the results.
# Ruby
time ./fix-annotations.rb annotations.txt > annotations-fixed.txt
./fix-annotations.rb annotations.txt > annotations-fixed.txt
0.14s user 0.10s system 68% cpu 0.346 total
# Crystal
time ./fix-annotations annotations.txt > annotations-fixed.txt
./fix-annotations annotations.txt > annotations-fixed.txt
0.00s user 0.00s system 55% cpu 0.013 total
As you can see, Crystal is zero-seconds-fast. 😝
Diving In: Crystal is written in Crystal
Crystal is written almost entirely in Crystal. They have some C still hanging around but it seems pretty insignificant. Contrast this with Ruby which is written in something like 64-65% Ruby and the rest in C.
Honestly I wouldn't have thought too much about this in the past. I cared a lot more about the language usage, rather than the implementation. But as I have gotten used to Crystal, I've found myself digging right into the implementation details of the language to find answers to my questions. I suppose if I was stronger with C this wouldn't stand out as a difference between the two, but for me it is. I've come to appreciate how nice it really is to get down to that level sometimes.
Surprises: Jewels in the Standard Library
Did you know Crystal has Levenshtein distance methods available in the standard library? Cool, huh? It also has Colorize for working with colored output in terminals. And OAuth2. And Markdown. Just thought that was cool to see those shipping with Crystal.
Coding Standards: One Way to Do It
This one might be controversial but Crystal has embraced the One Way to Do It philosophy. This isn't a bad thing though. And I'm not going all Python on you, either. Let me explain: For instance, in Crystal, Enumerable implements a single method to inspect the number of items in the collection, :size
. The method :length
is absent and :count
returns the count of the item in the collection. In Ruby I expect those three to work relatively similarly under most circumstances. But in Crystal, they've made a decision that feels more like optimization than limitation.
The Crystal community really cares about coding conventions. Check out the coding style pages for more details.
The Little Things: Attributes
I've noticed little differences between the languages like declaring attributes in a class. :attr_reader
, :attr_writer
, and :attr_accessor
are fine and dandy. But in Crystal we've got :getter
, :setter
, and :property
. It's different but I approve of the change.
A Beginning: Crystal's Journey
Crystal is still pre-1.0 and in its relative infancy compared to Ruby. Again, some view that lack of maturity as a negative, but I tend to look at the situation Crystal is in now, with a dearth of libraries and occasional bugs with the language itself, as an opportunity. You see, I have always felt like I missed a lot of opportunity to help move forward Ruby because I was too timid to open source any of my code. I've grown a lot since then. I realize the disadvantages of NOT putting myself out there. I've got plenty of code out in the open and had plenty of code reviews. The immaturity of Crystal gives me a chance to contribute in a way I felt I wasn't able to at the beginning of my Ruby journey.
Type System: Everybody Wants One
Yes, Crystal has a type system. I'll say no more for now.
In Summary: Crystal is not Ruby BUT-
Crystal stands apart from it's inspiration, Ruby, in several ways. In parting I want to point out one aspect of Crystal that it shares with Ruby. You read about Crystal's speed, type system, etc., but you may not realize that the Crystal community is amazing. Friendly and honestly helpful. If you are at all interested in working with Crystal, I hope you find these same things.

Matt Petty is a web software developer living outside of Kansas City, Missouri. He runs this here site and gets to say whatever he darn well pleases. Matt is a → Dev, Geek, Father, Artist, Writer, Freethinker, Linguaphile, Photog, Long-time Tabletop Role-Player and Dungeon Master.